I didn't really realise there was any interest in this at the time, so never bothered to update. The bike's still in use, been through a few changes though. I'm taking it on a 2 week tour through Spain and France in a fortnight. How it performs on that will either strengthen my resolve to keep it, or to swap the frame for a LHT or a Thorn Sherpa.
Here she is on her maiden voyage along the Kennet and Avon last summer, shortly after being built. It performs great on those kind of fast gravel paths you get along there.
I didn't get along with those moustache bars though - put the pressure in the wrong places on my palm and ended up causing severe nerve twinges on cold days. I've swapped them out for the VO rando bar but unfortunately that means I have to use a really choady stem. The downside of using this frame out of its original intended purpose I suppose. The wheelbase is long but pretty much exactly the same as a LHT. The oddest bit is that the trail is fairly low, (about 50mm) so the steering can be quite twitchy. As such I'm planning to use just front panniers for the tour, a bar bag and maybe a carradice for light things. The tent poles will strap to the top-tube.
(sorry for the shitty pic)
Also swapped changed:
Attached: records of crystals:
+++
## Na14Sc4Nb4Si11SO48 (PBE-GGA)

Data for a relaxed structure of Na14Sc4Nb4Si11SO48. Values from VASP.

The structure in Quantum ESPRESSO input format:
```
&SYSTEM
  ibrav = 0, nat = 246, ntyp = 6
/
ATOMIC_SPECIES
Na 22.99 Na.upf
Sc 44.96 Sc.upf
Nb 92.91 Nb.upf
Si 28.09 Si.upf
S 32.06 S.upf
O 16.00 O.upf
CELL_PARAMETERS angstrom
9.1722 0.0000 0.0000
0.0141 15.8681 0.0000
0.0006 0.0060 22.6453
ATOMIC_POSITIONS angstrom
Na 0.0000 0.0000 0.0000
Na 9.1687 0.4800 7.5818
Na 0.0247 10.9425 15.1003
Na 0.1371 10.5108 7.5825
Na 1.2310 8.4299 18.8699
Na 1.2499 7.8955 11.3381
Na 1.2475 13.0885 3.8166
Na 1.2518 2.4955 18.8733
Na 1.2483 3.1596 3.7723
Na 1.3275 13.6401 11.3073
Na 1.7998 13.4147 18.8359
Na 1.8179 8.0936 3.7737
Na 2.8865 5.4318 1.9407
Na 2.9277 0.2408 9.4578
Na 2.9668 10.7490 5.6707
Na 2.9639 10.7457 17.0698
Na 3.0222 0.2307 20.7035
Na 3.0383 5.4262 13.1791
Na 4.1831 13.3140 7.5731
Na 4.2871 8.0900 15.1016
Na 4.5759 8.4207 7.5775
Na 4.5947 7.9315 22.6443
Na 4.6125 13.1694 15.1171
Na 4.6924 2.5921 7.5845
Na 4.7044 3.0669 15.0673
Na 5.8125 0.5108 18.8765
Na 5.8239 5.1570 3.8142
Na 5.8395 11.0885 3.7710
Na 5.8492 10.4105 18.8759
Na 5.9174 15.8618 11.3420
Na 6.3310 10.6707 11.3515
Na 6.3840 5.4798 18.8083
Na 6.3951 0.1606 3.7654
Na 7.4793 13.3653 1.9427
Na 7.4968 8.1025 9.5175
Na 7.5362 2.8407 16.9784
Na 7.5542 13.4028 13.2078
Na 7.5543 2.8241 5.6564
Na 7.6140 8.1566 20.6949
Na 8.7641 0.2598 15.0558
Na 8.7950 5.3992 7.5340
Na 9.1588 5.2039 15.0936
Sc 2.9496 5.4701 5.2291
Sc 2.9509 0.1837 17.4140
Sc 2.9690 10.7447 9.0301
Sc 2.9853 10.6477 20.3368
Sc 3.0481 10.6800 2.3206
Sc 7.4724 2.7824 13.6271
Sc 7.4773 8.1079 12.8681
Sc 7.5265 2.7376 9.0334
Sc 7.5423 8.1145 17.3911
Sc 7.5480 13.4035 5.2230
Sc 7.5650 2.7216 20.3263
Sc 7.6268 2.7499 2.3167
Nb 2.8382 5.4407 21.1864
Nb 2.9466 0.2543 12.7672
Nb 2.9509 0.1707 6.1040
Nb 2.9632 10.7218 13.6113
Nb 2.9873 5.4639 16.5464
Nb 3.0410 0.2659 1.4530
Nb 3.0562 5.4408 9.8254
Nb 7.4350 13.3740 21.1928
Nb 7.5535 13.4033 16.5537
Nb 7.5588 8.1075 6.1105
Nb 7.5723 13.4038 9.8575
Nb 7.6324 8.1965 1.4531
Si 0.2545 5.4633 18.8357
Si 0.2646 10.7211 11.2881
Si 0.3014 0.1593 3.7366
Si 1.0488 8.1002 15.0835
Si 1.0677 13.3858 7.5008
Si 1.0651 2.8211 0.0040
Si 1.5978 2.5092 15.1405
Si 1.6064 3.1582 7.5152
Si 1.6149 8.4279 22.6406
Si 1.6320 7.7724 7.5363
Si 1.6408 13.7321 15.1019
Si 4.2896 13.7256 3.7575
Si 4.3066 3.1581 18.8944
Si 4.3089 7.7587 18.9089
Si 4.3106 13.0843 11.3071
Si 4.3161 2.5132 3.8006
Si 4.3322 8.3881 11.2753
Si 4.8451 13.3967 18.8525
Si 4.8460 2.8573 11.3252
Si 4.8988 8.0918 3.7434
Si 5.6256 0.1791 15.1223
Si 5.6577 10.7529 0.0048
Si 5.6671 5.4525 7.4920
Si 6.1948 0.4962 22.6395
Si 6.2039 10.4364 15.1038
Si 6.2099 11.0835 7.5142
Si 6.2155 15.7152 7.5153
Si 6.2285 5.7813 15.1290
Si 8.8688 5.7907 3.7581
Si 8.8995 11.0939 18.8869
Si 8.8979 15.6935 18.9075
Si 8.9087 10.4465 3.7967
Si 8.9052 0.5135 11.3223
S 1.6229 13.0861 22.6409
S 6.2015 5.1514 22.6445
S 8.9039 5.1452 11.3061
O 0.0060 2.9862 7.7087
+++
Copper rivet B17
Inline Thompson (to allow rails for carradice support)
Lower gearing
Cheap Shimano dynohub with B&M IQ Cyo light and a Super-I-cable (I have yet to hook this up properly)
**Calculated crystals, as found in the file**
Record 1
Entry from the Materials Project: a geometry-optimized KSrO3 structure (PBE-GGA).

ΔH_f (0 K) (kJ/mol of formula units): -644
E (Ha/atom): -0.164

a = 4.8467 Å, b = 4.8467 Å, c = 4.8467 Å
α = 90.00°, β = 90.00°, γ = 90.00°
Space group Pm-3m (No. 221)
One atom of each set of equivalent atoms:
K 0.0000 0.0000 0.0000 [1 per cell]
Sr 0.5000 0.5000 0.5000 [1 per cell]
O 0.0000 0.5000 0.5000 [3 per cell]

=====

Record 2
Entry from the Materials Project: a geometry-optimized TlAsS2 structure (PBE-GGA).

ΔH_f (0 K) (kJ/mol of formula units): -199
E (Ha/atom): -0.150

a = 6.3196 Å, b = 11.6445 Å, c = 13.0352 Å
α = 90.00°, β = 105.55°, γ = 90.00°
Space group P2_1/c (No. 14)
One atom of each set of equivalent atoms:
Tl 0.1506 0.1776 0.0595 [4 per cell]
Tl 0.2685 0.5574 0.8886 [4 per cell]
As 0.2358 0.6683 0.2019 [4 per cell]
As 0.4630 0.0898 0.8567 [4 per cell]
S 0.1921 0.5626 0.6503 [4 per cell]
S 0.2720 0.0323 0.6836 [4 per cell]
S 0.2933 0.6858 0.3759 [4 per cell]
S 0.4196 0.2139 0.3232 [4 per cell]

=====

Record 3
Entry from the Materials Project: a geometry-optimized YCuSn structure (PBE-GGA).

ΔH_f (0 K) (kJ/mol of formula units): -178
E (Ha/atom): -0.201

a = 4.5458 Å, b = 4.5458 Å, c = 7.2953 Å
α = 90.00°, β = 90.00°, γ = 120.00°
Space group P6_3mc (No. 186)
One atom of each set of equivalent atoms:
Y 0.0000 0.0000 0.0000 [2 per cell]
Cu 0.3333 0.6667 0.3192 [2 per cell]
Sn 0.3333 0.6667 0.7302 [2 per cell]

=====

Record 4
Entry from the Materials Project: a geometry-optimized AlNi6Ge structure (PBE-GGA).

ΔH_f (0 K) (kJ/mol of formula units): -277
E (Ha/atom): -0.211

a = 3.5522 Å, b = 3.5522 Å, c = 7.1034 Å
α = 90.00°, β = 90.00°, γ = 90.00°
Space group P4/mmm (No. 123)
One atom of each set of equivalent atoms:
Al 0.0000 0.0000 0.0000 [1 per cell]
Ni 0.0000 0.5000 0.2499 [4 per cell]
Ni 0.5000 0.5000 0.0000 [1 per cell]
Ni 0.5000 0.5000 0.5000 [1 per cell]
Ge 0.0000 0.0000 0.5000 [1 per cell]

=====

Record 5
Entry from the Materials Project: a geometry-optimized Sb5IO7 structure (PBE-GGA).

ΔH_f (0 K) (kJ/mol of formula units): -2009
E (Ha/atom): -0.206

a = 11.9158 Å, b = 13.0491 Å, c = 6.9144 Å
α = 90.00°, β = 90.00°, γ = 90.00°
Space group Pnn2 (No. 34)
One atom of each set of equivalent atoms:
Sb 0.0162 0.2439 0.0000 [4 per cell]
Sb 0.1608 0.2312 0.5365 [4 per cell]
Sb 0.1674 0.5505 0.8347 [4 per cell]
Sb 0.1704 0.9408 0.8458 [4 per cell]
Sb 0.1808 0.7548 0.4786 [4 per cell]
I 0.0000 0.0000 0.2965 [2 per cell]
I 0.0000 0.5000 0.3817 [2 per cell]
O 0.0272 0.6336 0.8488 [4 per cell]
O 0.0303 0.8573 0.7955 [4 per cell]
O 0.1661 0.2451 0.8412 [4 per cell]
O 0.2102 0.8288 0.0362 [4 per cell]
O 0.2379 0.6126 0.0728 [4 per cell]
O 0.2468 0.8741 0.6156 [4 per cell]
O 0.2478 0.6599 0.6717 [4 per cell]

=====

Record 6
Entry from the Materials Project: a geometry-optimized AlAgP2Se6 structure (PBE-GGA).

Piezoelectric modulus e_max (C/m²): 0.08
ΔH_f (0 K) (kJ/mol of formula units): -568
E (Ha/atom): -0.152
**The piece goes on**
Tempted to dye the flaps black and stick some bright cloth tape on the bars. The black/tan look lost its appeal.
I didn't really realise there was any interest in this at the time, so never bothered to update. The bike's still in use, been through a few changes though. I'm taking it on a 2 week tour through Spain and France in a fortnight. How it performs on that will either strengthen my resolve to keep it, or to swap the frame for a LHT or a Thorn Sherpa.
Here she is on her maiden voyage along the Kennet and Avon last summer, shortly after being built. It performs great on those kind of fast gravel paths you get along there.
I didn't get along with those moustache bars though - put the pressure in the wrong places on my palm and ended up causing severe nerve twinges on cold days. I've swapped them out for the VO rando bar but unfortunately that means I have to use a really choady stem. The downside of using this frame out of its original intended purpose I suppose. The wheelbase is long but pretty much exactly the same as a LHT. The oddest bit is that the trail is fairly low, (about 50mm) so the steering can be quite twitchy. As such I'm planning to use just front panniers for the tour, a bar bag and maybe a carradice for light things. The tent poles will strap to the top-tube.
(sorry for the shitty pic)
Also swapped changed:
Copper rivet B17
Inline Thompson (to allow rails for carradice support)
Lower gearing
Cheap Shimano dynohub with B&M IQ Cyo light and a Super-I-cable (I have yet to hook this up properly)
Compound: MgV6Fe4O24
Source: the Materials Project database
Functional: GGA+U
Structure: relaxed

Computed properties:
As for the symmetry: P-1. For the calculated formation energy, the calculation gives -1973.4 meV/atom. For the total energy after the MP2020 corrections, the calculation gives -7.937 eV per atom.

Cell lengths 6.769, 8.387, 10.017 Å; angles 107.33, 105.04, 103.78 degrees
Fractional coordinates of all 35 atoms:
1 Mg 0.000 0.000 0.000
2 V 0.115 0.606 0.839
3 V 0.204 0.166 0.766
4 V 0.390 0.245 0.360
5 V 0.610 0.755 0.640
6 V 0.796 0.834 0.234
7 V 0.885 0.394 0.161
8 Fe 0.053 0.705 0.515
9 Fe 0.372 0.461 0.105
10 Fe 0.628 0.539 0.895
11 Fe 0.947 0.295 0.485
12 O 0.010 0.226 0.658
13 O 0.067 0.556 0.642
14 O 0.117 0.505 0.141
15 O 0.152 0.822 0.918
16 O 0.163 0.945 0.677
17 O 0.207 0.213 0.955
18 O 0.221 0.055 0.212
19 O 0.242 0.306 0.477
20 O 0.341 0.546 0.930
21 O 0.362 0.758 0.535
22 O 0.449 0.399 0.278
23 O 0.458 0.281 0.772
24 O 0.542 0.719 0.228
25 O 0.551 0.601 0.722
26 O 0.638 0.242 0.465
27 O 0.659 0.454 0.070
28 O 0.758 0.694 0.523
29 O 0.779 0.945 0.788
30 O 0.793 0.787 0.045
31 O 0.837 0.055 0.323
32 O 0.848 0.178 0.082
33 O 0.883 0.495 0.859
34 O 0.933 0.444 0.358
35 O 0.990 0.774 0.342

Compound: Ba2YMgNi3O8
Source: the Materials Project database
Functional: GGA+U
Structure: relaxed

Computed properties:
For the energy above the most stable polymorph in this dataset, the calculation gives 39 meV per atom. As for the symmetry: P4mm. For the calculated formation energy, the calculation gives -2059.9 meV/atom. For the total energy after the MP2020 corrections, the calculation gives -6.649 eV per atom.

Cell lengths 3.918, 3.918, 13.928 Å; angles 90.00, 90.00, 90.00 degrees
Fractional coordinates of all 15 atoms:
1 Ba 0.000 0.000 0.000
2 Ba 0.000 0.000 0.281
3 Y 0.000 0.000 0.718
4 Mg 0.000 0.000 0.511
5 Ni 0.500 0.500 0.125
6 Ni 0.500 0.500 0.516
7 Ni 0.500 0.500 0.837
8 O 0.000 0.500 0.149
9 O 0.000 0.500 0.558
10 O 0.000 0.500 0.792
11 O 0.500 0.000 0.149
12 O 0.500 0.000 0.558
13 O 0.500 0.000 0.792
14 O 0.500 0.500 0.373
15 O 0.500 0.500 0.979

Compound: Na6MnNi3Sb2O12
Source: the Materials Project database
Functional: GGA+U
Structure: relaxed

Computed properties:
As for the symmetry: P2. For the calculated formation energy, the calculation gives -1845.6 meV/atom. For the total energy after the MP2020 corrections, the calculation gives -6.099 eV per atom.

Cell lengths 5.416, 9.370, 5.717 Å; angles 90.00, 108.39, 90.00 degrees
Fractional coordinates of all 24 atoms:
1 Na 0.000 0.000 0.000
2 Na 0.000 0.324 0.000
3 Na 0.000 0.651 0.000
4 Na 0.500 0.151 0.000
5 Na 0.500 0.497 0.000
6 Na 0.500 0.827 0.000
7 Mn 0.500 0.659 0.500
8 Ni 0.000 0.159 0.500
9 Ni 0.000 0.490 0.500
10 Ni 0.500 0.993 0.500
11 Sb 0.000 0.828 0.500
12 Sb 0.500 0.322 0.500
13 O 0.217 0.668 0.708
14 O 0.229 0.985 0.702
15 O 0.243 0.831 0.293
16 O 0.250 0.325 0.702
17 O 0.269 0.478 0.292
18 O 0.274 0.165 0.298
19 O 0.726 0.165 0.702
Tempted to dye the flaps black and stick some bright cloth tape on the bars. The black/tan look lost its appeal.